<<<
La3Pm4Dy2: relaxed, PBE.

a b c (Å): 3.644 3.644 27.386
angles (deg): 90.00 90.00 120.00
Atoms (fractional coordinates):
Pm: 0.000 0.000 0.542
Pm: 0.667 0.333 0.212
La: 0.000 0.000 0.320
Dy: 0.667 0.333 0.872
La: 0.667 0.333 0.655
Dy: 0.667 0.333 0.089
La: 0.000 0.000 0.984
Pm: 0.000 0.000 0.769
Pm: 0.667 0.333 0.435

- N(E_F): 15.17 states/eV per cell
- Total energy: -4.705 eV/atom
- ΔE_f: 0.072 eV/atom
- E above lowest polymorph: 51.9 meV/atom



LaPm5Dy12: relaxed, PBE.

a b c (Å): 10.754 10.751 6.203
angles (deg): 106.56 90.00 59.99
Atoms (fractional coordinates):
Pm: 0.333 0.334 0.000
Dy: 0.336 0.665 0.999
Pm: 0.833 0.334 0.501
Dy: 0.831 0.000 0.500
Dy: 0.664 0.335 0.001
Pm: 0.500 0.000 0.500
Dy: 0.834 0.667 0.501
Pm: 0.167 0.666 0.499
La: 0.000 0.000 0.000
Dy: 0.001 0.335 0.001
Dy: 0.169 0.000 0.500
Dy: 0.999 0.665 0.999
Dy: 0.166 0.333 0.499
Dy: 0.499 0.667 0.501
Dy: 0.333 0.000 0.000
Pm: 0.667 0.666 0.000
Dy: 0.501 0.333 0.499
Dy: 0.667 0.000 0.000

- N(E_F): 22.96 states/eV per cell
- Total energy: -4.643 eV/atom
- ΔE_f: 0.019 eV/atom



LaPm4Dy6: relaxed, PBE.

a b c (Å): 9.756 9.756 9.756
angles (deg): 57.86 140.00 140.00
Atoms (fractional coordinates):
Pm: 0.619 0.986 0.986
Dy: 0.000 0.805 0.447
Dy: 0.358 0.553 0.553
Pm: 0.000 0.633 0.014
Dy: 0.500 0.500 0.000
Pm: 0.381 0.367 0.367
Dy: 0.642 0.195 0.195
Dy: 0.000 0.447 0.805
La: 0.000 0.000 0.000
Dy: 0.500 0.000 0.500
Pm: 0.000 0.014 0.633

- N(E_F): 15.94 states/eV per cell
- Total energy: -4.373 eV/atom
- ΔE_f: 0.313 eV/atom
- E above lowest polymorph: 163.5 meV/atom



LaPm3Dy4: relaxed, PBE.

a b c (Å): 3.631 10.737 8.121
angles (deg): 98.71 116.70 70.24
Atoms (fractional coordinates):
Pm: 0.500 0.500 0.500
La: 0.500 0.000 0.000
Dy: 0.504 0.748 0.252
Dy: 0.000 0.748 0.748
Dy: 0.000 0.252 0.252
Dy: 0.496 0.252 0.748
Pm: 0.000 0.500 0.000
Pm: 0.000 0.000 0.500

- N(E_F): 11.90 states/eV per cell
- Total energy: -4.679 eV/atom
- ΔE_f: 0.019 eV/atom
- E above lowest polymorph: 0.0 meV/atom


# 1
# NaMnMo2 | Alexandria | PBE | optimized geometry
# Calculated formation energy = 1136 meV per atom
# E above lowest polymorph = 0.1412 eV per atom
data_NaMnMo2
_chemical_formula_sum 'Na4 Mn4 Mo8'
_space_group_name_H-M_alt 'I -4 2 d'
_space_group_IT_number 122
_space_group_name_Hall 'I -4 2bw'
_cell_length_a 3.750
_cell_length_b 3.750
_cell_length_c 20.113
_cell_angle_alpha 90.00
_cell_angle_beta 90.00
_cell_angle_gamma 90.00
loop_
_atom_site_label
_atom_site_type_symbol
_atom_site_fract_x
_atom_site_fract_y
_atom_site_fract_z
Na1 Na 0.000 0.000 0.000
Mn1 Mn 0.000 0.000 0.500
Mo1 Mo 0.225 0.250 0.625

# 2
# LiLaEuDy | Alexandria | PBE | optimized geometry
# Calculated formation energy = 197 meV per atom
data_LiLaEuDy
_chemical_formula_sum 'Li4 La4 Eu4 Dy4'
_space_group_name_H-M_alt 'F -4 3 m'
_space_group_IT_number 216
_space_group_name_Hall 'F -4 2 3'
_cell_length_a 8.098
_cell_length_b 8.098
_cell_length_c 8.098
_cell_angle_alpha 90.00
_cell_angle_beta 90.00
_cell_angle_gamma 90.00
loop_
_atom_site_label
_atom_site_type_symbol
_atom_site_fract_x
_atom_site_fract_y
_atom_site_fract_z
Li1 Li 0.000 0.000 0.000
La1 La 0.250 0.250 0.250
Eu1 Eu 0.250 0.250 0.750
Dy1 Dy 0.000 0.000 0.500

# 3
# Sm3Y4Ho | Alexandria | PBE | optimized geometry
# Calculated formation energy = 12 meV per atom
# E above lowest polymorph = 0.0000 eV per atom
data_Sm3Y4Ho
_chemical_formula_sum 'Sm6 Y8 Ho2'
_space_group_name_H-M_alt 'P m n 21'
_space_group_IT_number 31
_cell_length_a 11.416
_cell_length_b 7.329
_cell_length_c 6.333
_cell_angle_alpha 90.00
_cell_angle_beta 90.00
_cell_angle_gamma 90.00
loop_
_space_group_symop_operation_xyz
'x,y,z'
'-x+1/2,-y,z+1/2'
'-x,y,z'
'x+1/2,-y,z+1/2'
loop_
_atom_site_label
_atom_site_type_symbol
_atom_site_fract_x
_atom_site_fract_y
_atom_site_fract_z
Sm1 Sm 0.000 0.125 0.000
Sm2 Sm 0.250 0.125 0.330
Y1 Y 0.000 0.375 0.498
Y2 Y 0.000 0.624 0.997
Y3 Y 0.249 0.625 0.333
Ho1 Ho 0.000 0.873 0.499

# 4
# MnZn2Ni7As2 | Alexandria | PBE | optimized geometry
>>>

Next, filter the entries earlier on: keep the lines with the word "Sm".

Sm1 Sm 0.000 0.125 0.000
Sm2 Sm 0.250 0.125 0.330